COM/DCOM Interface

The idea behind this COM (Component Object Model) object is to expose the core of 3ds Max so applications can invoke 3ds Max to generate images. The whole implementation of the COM interface was done as a plug-in itself so developers have the option of enhancing it in any manner they wish. Not just by adding interfaces to this object but also by creating entire new objects using this implementation as a code base. The code is extensively documented and the test "Client Application" is also extensively documented in a way where even developers who don't have any experience with COM objects can make use of it. For those with experience, the 3ds Max COM interface is implemented entirely using ATL which makes it very simple to add and/or modify any aspect of the code.

COM Interfaces and their types are defined in an "IDL" file. They may be found in \MAXSDK\SAMPLES\GUP\COMSRV\COMSRV.IDL .

Registering 3ds Max as a DCOM Server

The following steps register 3ds Max as a DCOM server:

1) Build \MAXSDK\SAMPLES\UTILITIES\COMSRV.VCPROJ and copy the resulting COMSRVUI.DLU to the 3ds Max PLUGINS directory.

2) Start 3ds Max and go the Utility Panel. Choose More and pick COM/DCOM Server Control.

3) If the button in the comand panel says "Register" then click it, or if it says "Unregister", then do nothing (as 3ds Max is already registered).

Now 3ds Max is registered as a DCOM server and an instance of it can be created from any COM client.

It is also possible to register and unregister 3ds Max from the command line. There are two command line options that can be passed to 3ds Max:

3DSMAX -RegisterMAXRenderer

3DSMAX -UnregisterMAXRenderer

The MaxRenderer Interface

This is the main interface exported by this COM object. Through its methods you can load a 3ds Max scene, define the parameters for a resulting image, request 3ds Max to render any number of frames, collect the resulting images, and so on. The other interfaces defined are support interfaces used by the different methods of the 3ds Max Renderer Interface.


These properties are the same ones found in the 3ds Max API. They are exposed here so applications can query or define the different attributes of a scene to be rendered.


These methods are a superset of the methods found in the 3ds Max API. They encapsulate some of the API functions (specifically those related to rendering) in order to simplify the process as well as to isolate the foreign applications from classes and data not exposed.

The _ImaxRendererEvents() sink interface

Use this interface to receive notifications and events from 3ds Max.

The MaxBitmapInfo Interface

What comes next are records of crystals, not part of the page:
┌──
1.
This record from Alexandria via LeMat-Bulk describes a relaxed structure of BaZr2Os. The functional is PBE.

Cell lengths 3.3858, 4.2080, 7.7534 Å; angles 90.00, 90.01, 90.00 degrees
Sites, in units of the cell vectors:
1 Ba 0.0000 0.0000 0.0000
2 Zr 0.4744 0.5000 0.6523
3 Zr 0.9733 0.0000 0.4324
4 Os 0.4759 0.5000 0.3328

Values from the calculation:
The energy above the most stable polymorph in this dataset is 168 meV/atom. The value obtained for the energy is -7.294 eV per atom. The calculation puts the density at 7.666 g cm⁻³. Its symmetry is Pm (6). The value obtained for the energy of formation from the pure elements is 0.268 eV per atom.


2.
This record from Alexandria via LeMat-Bulk describes a relaxed structure of BaZr2Os. The functional is PBE.

Cell lengths 5.6488, 5.6488, 17.4953 Å; angles 90.00, 90.00, 90.00 degrees
Sites, in units of the cell vectors:
1 Ba 0.0000 0.2500 0.3750
2 Ba 0.0000 0.7500 0.6250
3 Ba 0.5000 0.2500 0.1250
4 Ba 0.5000 0.7500 0.8750
5 Zr 0.0000 0.0000 0.0000
6 Zr 0.0000 0.5000 0.0000
7 Zr 0.2500 0.2500 0.7500
8 Zr 0.2500 0.7500 0.2500
9 Zr 0.5000 0.0000 0.5000
10 Zr 0.5000 0.5000 0.5000
11 Zr 0.7500 0.2500 0.7500
12 Zr 0.7500 0.7500 0.2500
13 Os 0.0000 0.2500 0.8750
14 Os 0.0000 0.7500 0.1250
15 Os 0.5000 0.2500 0.6250
16 Os 0.5000 0.7500 0.3750

Values from the calculation:
The energy above the most stable polymorph in this dataset is 796 meV/atom. The value obtained for the energy is -6.665 eV per atom. The calculation puts the density at 6.068 g cm⁻³. Its symmetry is I4_1/amd (141). The value obtained for the energy of formation from the pure elements is 0.897 eV per atom.


3.
This record from Alexandria via LeMat-Bulk describes a relaxed structure of BaZr2Os. The functional is PBE.

Cell lengths 3.3922, 4.4889, 15.4975 Å; angles 90.00, 90.00, 90.00 degrees
Sites, in units of the cell vectors:
1 Ba 0.0000 0.0000 0.0000
2 Ba 0.5000 0.5000 0.5000
3 Zr 0.0000 0.0000 0.3243
4 Zr 0.0000 0.5000 0.1879
5 Zr 0.5000 0.0000 0.6879
6 Zr 0.5000 0.5000 0.8243
7 Os 0.0000 0.5000 0.6968
8 Os 0.5000 0.0000 0.1968

Values from the calculation:
The energy above the most stable polymorph in this dataset is 173 meV/atom. The value obtained for the energy is -7.288 eV per atom. The calculation puts the density at 7.177 g cm⁻³. Its symmetry is Imm2 (44). The value obtained for the energy of formation from the pure elements is 0.274 eV per atom.


4.
This record from Alexandria via LeMat-Bulk describes a relaxed structure of BaZr2Os. The functional is PBE.

Cell lengths 7.4381, 4.2876, 7.9029 Å; angles 90.00, 108.30, 90.00 degrees
Sites, in units of the cell vectors:
1 Ba 0.0000 0.0000 0.0000
2 Ba 0.5000 0.5000 0.0000
3 Zr 0.2061 0.0000 0.6209
4 Zr 0.4481 0.0000 0.3472
5 Zr 0.7061 0.5000 0.6209
6 Zr 0.9481 0.5000 0.3472
7 Os 0.3256 0.5000 0.4796
8 Os 0.8256 0.0000 0.4796

Values from the calculation:
└──

This interface is used to define the characteristics of the resulting image generated by 3ds Max. There are only properties. The only one that might need explanation is the Channels() property. Use this to define what types of special channels you want generated. These are in addition to the standard RGBA channels.